-- Data --
-- begin --
Computed, not measured: a molecular structure, C37H28IrN9O3S, with wB97M-V/def2-TZVPD.

Last column: Mulliken charge in e.
Geometry (Å):
Ir -2.2666 0.4017 -0.7782  0.92
O -4.7443 -0.2390 3.9860  -0.66
C -4.1203 -1.4150 3.8001  0.72
C -4.1852 -2.3354 4.8477  -0.73
C -3.5998 -3.5750 4.7203  -0.37
C -2.9235 -3.9378 3.5502  -0.92
C -2.8226 -3.0277 2.5272  -0.54
C -3.4135 -1.7541 2.6305  0.00
C -3.2308 -0.8210 1.5244  1.18
O -2.3542 -1.1052 0.6275  -0.85
N -4.0257 0.2683 1.4765  -1.49
N -3.7172 1.0219 0.3910  0.86
C -4.3284 2.0967 0.0371  -0.48
C -3.8325 2.7275 -1.1923  0.79
C -4.3991 3.8678 -1.7289  -0.97
C -3.8866 4.3900 -2.9088  -0.35
C -2.8135 3.7589 -3.5113  -0.92
C -2.2795 2.6256 -2.9195  0.10
N -2.7732 2.1145 -1.7933  0.02
H -4.7063 0.2745 3.1583  0.50
H -4.7123 -2.0470 5.7468  0.50
H -3.6673 -4.2774 5.5408  0.43
H -2.4791 -4.9186 3.4574  0.47
H -2.2901 -3.2709 1.6175  0.52
H -5.1471 2.5020 0.6201  0.46
H -5.2305 4.3388 -1.2224  0.50
H -4.3210 5.2777 -3.3474  0.46
H -2.3795 4.1350 -4.4263  0.45
H -1.4281 2.1148 -3.3476  0.46
C 11.3825 0.3045 0.2770  -0.85
O 10.5809 0.0246 -0.8654  -0.45
C 9.2468 0.1034 -0.7440  0.90
C 8.5816 0.4639 0.4272  -0.64
C 7.1970 0.5091 0.4347  -0.76
C 6.4594 0.2035 -0.7032  0.33
C 7.1404 -0.1562 -1.8726  -0.49
C 8.5122 -0.2042 -1.8948  -0.63
C 5.0030 0.2433 -0.7226  0.36
N 4.2441 -0.1210 -1.7385  -0.83
C 2.9658 0.0845 -1.3244  0.89
C 2.9266 0.5826 -0.0367  0.05
N 4.2436 0.6774 0.3362  -0.09
C 1.7167 0.9153 0.6351  -0.16
C 1.5927 1.4105 1.9447  -0.44
C 0.3490 1.7072 2.4404  -1.36
C -0.7754 1.5324 1.6318  0.08
N -0.6845 1.0528 0.4015  -0.12
C 0.5332 0.7127 -0.0951  -0.01
C 0.5559 0.1140 -1.4026  0.78
N -0.6508 -0.1509 -1.9713  -0.21
C -0.6849 -0.6764 -3.1878  0.21
C 0.4778 -0.9708 -3.9038  -1.11
C 1.7045 -0.7335 -3.3345  -0.38
C 1.7600 -0.1820 -2.0462  -0.33
H 12.4101 0.1600 -0.0396  0.25
H 11.1525 -0.3830 1.0931  0.35
H 11.2451 1.3358 0.6075  0.35
H 9.1272 0.7052 1.3264  0.42
H 6.7097 0.7833 1.3635  0.21
H 6.5708 -0.3949 -2.7599  0.48
H 9.0513 -0.4783 -2.7911  0.44
H 4.6071 1.0305 1.2040  0.21
H 2.4703 1.5504 2.5623  0.49
H 0.2197 2.0849 3.4442  0.47
H -1.7603 1.8084 1.9832  0.56
H -1.6608 -0.8993 -3.5974  0.49
H 0.3908 -1.4014 -4.8909  0.48
H 2.6281 -0.9620 -3.8497  0.64
S -3.8428 -0.7660 -2.1220  -0.67
C -4.9100 -1.5497 -0.9766  0.49
N -6.1229 -0.9810 -0.7573  0.07
C -7.0127 -1.4787 0.1202  -0.05
C -6.6896 -2.6182 0.8020  -0.75
C -5.4644 -3.2069 0.4873  -0.02
N -4.6010 -2.6852 -0.3790  -0.41
H -6.3409 -0.1541 -1.3013  0.29
H -7.9469 -0.9463 0.2298  0.45
H -7.3645 -3.0500 1.5247  0.47
H -5.1660 -4.1414 0.9485  0.50

Cartesian forces (eV/Å) of the 6 atoms listed first:
Ir -0.3 -0.5 0.2
O 0.0 -0.1 0.0
C -0.1 0.1 0.0
C 0.0 0.0 0.0
C 0.0 0.0 0.0
C 0.0 0.0 0.0

The charge is +2. The calculation puts the HOMO energy at -0.4297 Ha. The value obtained for the HOMO-LUMO gap is 5.60 eV. The calculation puts the lowest unoccupied orbital energy at -6.1 eV.

Computed, not measured: a molecular structure, C10H10ClN2OP at a distorted geometry, with wB97M-V/def2-TZVPD.

Last column: natural (NBO) charge in e.
Geometry (Å):
C -1.4921 -0.6309 -2.3807  -0.18
C -1.9431 0.4638 -1.6910  -0.22
C -0.4767 -1.3783 -1.9574  -0.23
C -1.2729 0.8451 -0.5675  0.03
C -0.1603 0.1368 -0.1188  -0.07
C 0.2370 -0.9967 -0.8191  0.16
C -0.9199 2.3841 1.3748  -0.16
C 0.1243 1.7157 1.8380  -0.18
C -1.5099 2.2387 0.0295  -0.47
C 0.7356 0.6390 1.0710  -0.11
N 1.0072 -0.5250 1.9304  -0.94
N 1.0927 -1.9886 -0.2849  -0.96
O 1.9354 -2.9896 1.9701  -0.94
P 1.7357 -1.6786 1.2111  2.20
Cl 4.2680 -1.5334 0.2244  -0.64
H -1.8810 -0.7692 -3.3320  0.21
H -2.8655 0.9126 -1.9228  0.22
H -0.0514 -2.4050 -2.3673  0.21
H -1.3960 2.9799 2.0537  0.20
H 0.5042 2.0001 2.7832  0.22
H -1.0510 2.9866 -0.6714  0.24
H -2.6213 2.5426 0.1871  0.22
H 1.6821 0.9774 0.7314  0.22
H 1.5251 -2.6405 -0.9672  0.44
H 2.7934 -3.2869 1.6754  0.54

Cartesian forces (eV/Å) of the 6 atoms listed first:
C -1.0 0.8 -0.9
C 0.2 -0.7 0.7
C 3.6 -3.2 0.7
C 0.8 1.7 0.8
C 1.3 0.8 0.5
-- stop --

-- Assignment --
The reader should repeat the whole of the material further up with every line break kept.

-- Reply --
Computed, not measured: a molecular structure, C37H28IrN9O3S, with wB97M-V/def2-TZVPD.

Last column: Mulliken charge in e.
Geometry (Å):
Ir -2.2666 0.4017 -0.7782  0.92
O -4.7443 -0.2390 3.9860  -0.66
C -4.1203 -1.4150 3.8001  0.72
C -4.1852 -2.3354 4.8477  -0.73
C -3.5998 -3.5750 4.7203  -0.37
C -2.9235 -3.9378 3.5502  -0.92
C -2.8226 -3.0277 2.5272  -0.54
C -3.4135 -1.7541 2.6305  0.00
C -3.2308 -0.8210 1.5244  1.18
O -2.3542 -1.1052 0.6275  -0.85
N -4.0257 0.2683 1.4765  -1.49
N -3.7172 1.0219 0.3910  0.86
C -4.3284 2.0967 0.0371  -0.48
C -3.8325 2.7275 -1.1923  0.79
C -4.3991 3.8678 -1.7289  -0.97
C -3.8866 4.3900 -2.9088  -0.35
C -2.8135 3.7589 -3.5113  -0.92
C -2.2795 2.6256 -2.9195  0.10
N -2.7732 2.1145 -1.7933  0.02
H -4.7063 0.2745 3.1583  0.50
H -4.7123 -2.0470 5.7468  0.50
H -3.6673 -4.2774 5.5408  0.43
H -2.4791 -4.9186 3.4574  0.47
H -2.2901 -3.2709 1.6175  0.52
H -5.1471 2.5020 0.6201  0.46
H -5.2305 4.3388 -1.2224  0.50
H -4.3210 5.2777 -3.3474  0.46
H -2.3795 4.1350 -4.4263  0.45
H -1.4281 2.1148 -3.3476  0.46
C 11.3825 0.3045 0.2770  -0.85
O 10.5809 0.0246 -0.8654  -0.45
C 9.2468 0.1034 -0.7440  0.90
C 8.5816 0.4639 0.4272  -0.64
C 7.1970 0.5091 0.4347  -0.76
C 6.4594 0.2035 -0.7032  0.33
C 7.1404 -0.1562 -1.8726  -0.49
C 8.5122 -0.2042 -1.8948  -0.63
C 5.0030 0.2433 -0.7226  0.36
N 4.2441 -0.1210 -1.7385  -0.83
C 2.9658 0.0845 -1.3244  0.89
C 2.9266 0.5826 -0.0367  0.05
N 4.2436 0.6774 0.3362  -0.09
C 1.7167 0.9153 0.6351  -0.16
C 1.5927 1.4105 1.9447  -0.44
C 0.3490 1.7072 2.4404  -1.36
C -0.7754 1.5324 1.6318  0.08
N -0.6845 1.0528 0.4015  -0.12
C 0.5332 0.7127 -0.0951  -0.01
C 0.5559 0.1140 -1.4026  0.78
N -0.6508 -0.1509 -1.9713  -0.21
C -0.6849 -0.6764 -3.1878  0.21
C 0.4778 -0.9708 -3.9038  -1.11
C 1.7045 -0.7335 -3.3345  -0.38
C 1.7600 -0.1820 -2.0462  -0.33
H 12.4101 0.1600 -0.0396  0.25
H 11.1525 -0.3830 1.0931  0.35
H 11.2451 1.3358 0.6075  0.35
H 9.1272 0.7052 1.3264  0.42
H 6.7097 0.7833 1.3635  0.21
H 6.5708 -0.3949 -2.7599  0.48
H 9.0513 -0.4783 -2.7911  0.44
H 4.6071 1.0305 1.2040  0.21
H 2.4703 1.5504 2.5623  0.49
H 0.2197 2.0849 3.4442  0.47
H -1.7603 1.8084 1.9832  0.56
H -1.6608 -0.8993 -3.5974  0.49
H 0.3908 -1.4014 -4.8909  0.48
H 2.6281 -0.9620 -3.8497  0.64
S -3.8428 -0.7660 -2.1220  -0.67
C -4.9100 -1.5497 -0.9766  0.49
N -6.1229 -0.9810 -0.7573  0.07
C -7.0127 -1.4787 0.1202  -0.05
C -6.6896 -2.6182 0.8020  -0.75
C -5.4644 -3.2069 0.4873  -0.02
N -4.6010 -2.6852 -0.3790  -0.41
H -6.3409 -0.1541 -1.3013  0.29
H -7.9469 -0.9463 0.2298  0.45
H -7.3645 -3.0500 1.5247  0.47
H -5.1660 -4.1414 0.9485  0.50

Cartesian forces (eV/Å) of the 6 atoms listed first:
Ir -0.3 -0.5 0.2
O 0.0 -0.1 0.0
C -0.1 0.1 0.0
C 0.0 0.0 0.0
C 0.0 0.0 0.0
C 0.0 0.0 0.0

The charge is +2. The calculation puts the HOMO energy at -0.4297 Ha. The value obtained for the HOMO-LUMO gap is 5.60 eV. The calculation puts the lowest unoccupied orbital energy at -6.1 eV.

Computed, not measured: a molecular structure, C10H10ClN2OP at a distorted geometry, with wB97M-V/def2-TZVPD.

Last column: natural (NBO) charge in e.
Geometry (Å):
C -1.4921 -0.6309 -2.3807  -0.18
C -1.9431 0.4638 -1.6910  -0.22
C -0.4767 -1.3783 -1.9574  -0.23
C -1.2729 0.8451 -0.5675  0.03
C -0.1603 0.1368 -0.1188  -0.07
C 0.2370 -0.9967 -0.8191  0.16
C -0.9199 2.3841 1.3748  -0.16
C 0.1243 1.7157 1.8380  -0.18
C -1.5099 2.2387 0.0295  -0.47
C 0.7356 0.6390 1.0710  -0.11
N 1.0072 -0.5250 1.9304  -0.94
N 1.0927 -1.9886 -0.2849  -0.96
O 1.9354 -2.9896 1.9701  -0.94
P 1.7357 -1.6786 1.2111  2.20
Cl 4.2680 -1.5334 0.2244  -0.64
H -1.8810 -0.7692 -3.3320  0.21
H -2.8655 0.9126 -1.9228  0.22
H -0.0514 -2.4050 -2.3673  0.21
H -1.3960 2.9799 2.0537  0.20
H 0.5042 2.0001 2.7832  0.22
H -1.0510 2.9866 -0.6714  0.24
H -2.6213 2.5426 0.1871  0.22
H 1.6821 0.9774 0.7314  0.22
H 1.5251 -2.6405 -0.9672  0.44
H 2.7934 -3.2869 1.6754  0.54

Cartesian forces (eV/Å) of the 6 atoms listed first:
C -1.0 0.8 -0.9
C 0.2 -0.7 0.7
C 3.6 -3.2 0.7
C 0.8 1.7 0.8
C 1.3 0.8 0.5